Child Anxiety Attacks

Just like adults, children experience fear, anxiety and apprehension. These are but normal emotional experiences that a person feels regardless of age. However, if anxiety becomes irrational, recurring and severe, and anxiety attacks happen without any apparent reason, and the reaction is disproportionate to the problem at hand, it can be a cause of concern. This is why on the first signs of problem, have your child get proper diagnosis by a health professional to be able to rule out any possible causes and determine the right treatment to be applied.

Since anxiety attack is a type of anxiety disorder, it is important to know what happens to a child who is suffering from such disorder. To be able to identify it, here are the following symptoms:

Frequent feeling of fear and panic
Bed wetting
Tantrums and excessive crying
Fear of making mistakes
Fear of getting embarrassed
Avoidance of certain activities such as school event and summer camps
Nightmares and night terrors
Compulsive behaviors
Resistance to any change
Low self-esteem, lack of confidence
Overly shy and difficulty making friends
Chronic physical symptoms such as stomach aches or headaches without any apparent reason

A child is under an anxiety attack if he shows the following symptoms:

Gush of overwhelming panic
Hot flashes or chills
Trouble breathing or choking sensation
Feeling of loosing control or going crazy
Feeling and fear of dying
Feeling unreal or detach
Nausea or stomach cramps
Shaking or trembling
Feeling like passing out
Chest pain or heart palpitation

Different children of different ages or even of the same age may manifest different symptoms. Moreover, some of the symptoms given may be considered as a normal behavior of a child. Thus it is a bit tricky to determine if he or she is really having an attack or not. What should be done is to recognize these symptoms and consider them as a reason of concern, then help your child deal with these symptoms through the following:

Seek help from health professional Effectively stopping anxiety attacks begins with recognition and followed by a compete diagnosis from your medical doctor. A full medical examination should be administered in order to rule out any other physical causes unrelated to anxiety.

Doctors usually give prescription medications to help relieve anxiety. If applicable, SSRI antidepressants may be needed for a long term solution. For a more severe case, doctors may refer the child to a psychologist.

Self-help techniques Parents may seek the help of books available for treating child anxiety. This is also very effective in teaching parents strategies for responsible parenting, which improve parent-child relationship and help build child self-confidence and self-esteem.

Play therapy is the child version of exposure therapy. As an effective child anxiety treatment, play therapy uses the power of play to simulate each fearful situation in a controlled environment, which then helps the child face the problem and come up with a solution.

Herbal medicines is proven and effective means of treating anxiety attacks and other types of anxiety disorder. Some of the commonly recommended remedies include passionflower, valerian, scuttelaria laterifolia (scullcap), California poppy, Melissa officinalis, hypericum perforatum (St. John’s Wort), hops and lavender.

Triggers and Causes of Panic Attacks

Here are the common triggers and causes of panic attacks:

Phobia People who are exposed to certain situation or objects they are afraid of will often experience a panic attack.

Passiveness Many think that excessive politeness, shyness, and respectfulness are a positive thing and it is normal for someone to possess these characteristics. Be that as it may, a growing number of evidence supports the idea that passiveness as a result of fear (sometimes unexplained), low self-esteem and self-confidence is consistent with a person experiencing episodes of panic attack.

Hyperventilation syndrome Mouth breathing and over-breathing or exhaling more carbon dioxide with respect to the amount of oxygen in the bloodstream can result to symptoms including dizziness, lightheadedness, and rapid heartbeat. These symptoms, in turn trigger panic attacks.

Benzodiazepines Drugs such as benzodiazepines are prescribed to treat the symptoms of panic attacks. These drugs have a very quick to take effect. Usually, the patient finds relief within 30 minutes. However, benzodiazepines are highly addictive and rebound effect is common (a panic attack triggered by withdrawing from the drug).

Medications There are certain drugs such as fluoroquinolone type antibiotics and Ritalin (methylphenidate) with panic attacks listed as a side effect. Attacks may be temporary, usually occurring when a patient begins medication but may continue occurring even if the patient is already accustomed to the drug. When this happens, change of dosage or type of drug is usually warranted. Selective Serotonin Reuptake Inhibitors or SSRIs boost the level of serotonin in the brain which regulates and normalizes emotions. However, intake of SSRIs can increase anxiety at the beginning of use. Panic attacks may even be more frequent to patients who wean on and off the medications

Biological causes post traumatic stress disorder, obsessive compulsive disorder, Wilson’s disease, pheochromocytoma, hypoglycemia, mitral valve prolapse and labyrinthitis (inner ear disturbances) can manifest through panic attack. Vitamin B deficiency from periodic depletion because of parasitic infection from tapeworm or due to inadequate diet can trigger panic attacks.

Heredity Children, whose parents have been found to suffer from panic disorder, are likely to experience or have panic attacks as well. In other words, inheritance plays an important role in determining who gets it. However, people with no family history can still develop panic disorder.

Environment factors and upbringing People who grew up overly cautious about their life and actions, and those who live in a very stressful environment, plus different traumatic experiences from the past are likely to have panic attacks.

Short-term triggering causes Significant life changes, emotional trauma from a failed relationship, life transition, stimulants such as nicotine and caffeine, psilocybin, marijuana, and drugs can trigger panic attacks.

Take note that these triggers and causes may have different effects to different people. One may only need one trigger to have an episode of panic attacks. Others may require several triggers in order to break down. Also, by simply being exposed to any of these triggers do not automatically result to panic attacks because some are emotionally stronger than others.

It is also important to note that some symptoms of panic attacks may also be a sign of other medical condition. Hence, it is important to precisely pinpoint the cause of the symptoms in order know what type of treatment is necessary.

Stress in Teens Causes Mental Health Dysfunction

Do you ever feel like you know just enough about mental health to be dangerous? Let’s see if we can fill in some of the gaps with the latest info from mental health experts.

People are stressed all the present. Although, a lot of those stressful situations are felt by a teenager, proper management must be done to help the teenager tester up effectively. When stress enters the system and the mind can no longer handle the effects, mental health dysfunction can occur.

It doesnt necessarily mean that the brain will stop working. However, it will not work as normal over it can be. There are a lot of stress factors that causes a person to feel discouraged and misunderstood. It might be a loss of a loved one, a massive surprising change in his vivacity, being bullied or teased all the time, at ease problems and difficulties and school problems can bring so much stress to an adolescent.

What are the causes of stress?

It is a detail that most of the stressors in a childs life are those which cant be easily recognized by the guardian or the parent. These include:

First time or new time events like shifting from primary to secondary insight, moving to a room that makes the child uneasy, meeting a unknown teacher that makes the child pees his pants, or useful to another location are some examples.

Homework that takes away playtime and requires a lot of time to do. Sometimes, teens also need attention and help with their homework but theres no one around to lend a hand.

Unrealistic expectations regarding her performance in school despite the fact that she has already done well. This will invoke fear of not being better.

A loss in the family is particular of the upper factors that a teenager needs to cope up most. Loss also refers to losing a father or mother through divorce. This can raise an emotional fear that will bind him from the truth that tangible can happen to him when he has his own family.

### Data records, as found in the file
Calculated X-ray diffraction stick pattern of Na6FeS4O16 for λ = 1.5418 Å (Cu Kα), from a crystal structure in the Materials Project, relaxed with GGA+U.

Atomic structure:
Lattice parameters (Å, degrees): 9.935 9.385 8.387 90.00 113.63 90.00
Space group P2_1/c (No. 14)
One atom of each set of equivalent atoms:
Na1 0.053 0.151 0.411
Na2 0.189 0.015 0.032
Na3 0.390 0.637 0.316
Fe1 0.500 0.000 0.500
S1 0.162 0.647 0.846
S2 0.359 0.194 0.775
O1 0.037 0.603 0.682
O2 0.146 0.585 0.000
O3 0.170 0.694 0.359
O4 0.211 0.245 0.179
O5 0.300 0.594 0.831
O6 0.364 0.104 0.923
O7 0.405 0.106 0.659
O8 0.470 0.186 0.344

Largest 10 diffraction maxima, in order of rising 2θ, 2θ from 5° to 70°:
hkl 1 0 0, 9.72°, I 45
hkl 0 1 1, 14.90°, I 49
hkl 2 1 0, 21.70°, I 77
hkl 0 2 1, 22.20°, I 37
hkl 2 1 -2, 25.43°, I 93
hkl 2 1 1, 28.15°, I 100
hkl 3 0 -2, 29.30°, I 57
hkl 0 2 2, 30.06°, I 76
hkl 1 3 -1, 30.94°, I 49
hkl 2 3 -1, 34.08°, I 51

***

Calculated X-ray diffraction stick pattern of K2NaFeF6 for λ = 1.5418 Å (Cu Kα), from a crystal structure in the Materials Project, relaxed with GGA+U.

Atomic structure:
Lattice parameters (Å, degrees): 8.457 8.457 8.457 90.00 90.00 90.00
Space group Fm-3m (No. 225)
One atom of each set of equivalent atoms:
K1 0.250 0.250 0.250
Na1 0.000 0.000 0.000
Fe1 0.000 0.000 0.500
F1 0.000 0.000 0.268

Largest 10 diffraction maxima, in order of rising 2θ, 2θ from 5° to 70°:
hkl 1 1 1, 18.17°, I 35
hkl 2 0 0, 21.01°, I 14
hkl 2 2 0, 29.88°, I 100
hkl 3 1 1, 35.19°, I 7
hkl 2 2 2, 36.81°, I 29
hkl 4 0 0, 42.77°, I 83
hkl 4 2 2, 53.05°, I 34
hkl 5 1 1, 56.54°, I 7
hkl 4 4 0, 62.08°, I 44
hkl 5 3 1, 65.27°, I 5

***

Calculated X-ray diffraction stick pattern of Li4MnV3P8O28 for λ = 1.5418 Å (Cu Kα), from a crystal structure in the Materials Project, relaxed with GGA+U.

Atomic structure:
Lattice parameters (Å, degrees): 7.061 8.311 9.752 89.70 71.22 89.47
Space group P1 (No. 1)
One atom of each set of equivalent atoms:
Li1 0.000 0.000 0.000
Li2 0.001 0.000 0.500
Li3 0.649 0.500 0.176
Li4 0.651 0.501 0.674
Mn1 0.056 0.637 0.480
V1 0.053 0.638 0.981
V2 0.596 0.137 0.196
V3 0.596 0.137 0.695
P1 0.237 0.421 0.196
P2 0.237 0.423 0.695
P3 0.411 0.922 0.981
P4 0.411 0.924 0.482
P5 0.802 0.817 0.289
P6 0.802 0.818 0.788
P7 0.844 0.318 0.389
P8 0.846 0.319 0.888
O1 0.076 0.292 0.291
O2 0.077 0.292 0.790
O3 0.176 0.463 0.063
O4 0.178 0.463 0.561
O5 0.211 0.835 0.021
O6 0.211 0.839 0.524
O7 0.239 0.571 0.787
O8 0.240 0.571 0.288
O9 0.408 0.071 0.888
O10 0.410 0.073 0.388
O11 0.437 0.334 0.655
O12 0.438 0.334 0.154
O13 0.473 0.963 0.113
O14 0.476 0.964 0.612
O15 0.572 0.792 0.386
O16 0.573 0.792 0.886
O17 0.719 0.316 0.787
O18 0.720 0.314 0.285
O19 0.808 0.175 0.494
O20 0.808 0.177 0.995
O21 0.818 0.981 0.712
O22 0.819 0.980 0.212
O23 0.823 0.480 0.465
O24 0.831 0.481 0.965
O25 0.842 0.676 0.182
O26 0.843 0.675 0.682
O27 0.929 0.815 0.890
O28 0.932 0.814 0.389

Largest 10 diffraction maxima, in order of rising 2θ, 2θ from 5° to 70°:

Low self – esteem.

Watching stressful news, reading mindboggling articles like terrorists or natural disasters.

A long – term medical problem like diabetes or something short – term like a fractured bone.

Materials data from another source follow:
'''
Theoretical powder X-ray diffraction pattern
Compound: Cr2NiRh8
Radiation: Cu Kα X-rays
Structure: a cell relaxed with PBE
Kinematic intensities with the Lorentz-polarization factor, no thermal factor.

Largest 10 diffraction maxima, by intensity, 2θ from 10° to 80°:
d 2.135, intensity 100.0, hkl 1 2 3; d 1.977, intensity 25.8, hkl 2 0 0; d 2.197, intensity 22.8, hkl 1 1 4; d 1.914, intensity 17.0, hkl 0 0 6; d 2.216, intensity 16.7, hkl 0 3 1; d 1.375, intensity 11.1, hkl 2 0 6; d 2.750, intensity 9.6, hkl 1 0 3; d 1.475, intensity 9.0, hkl 2 3 1; d 2.935, intensity 7.5, hkl 1 1 2; d 1.327, intensity 7.4, hkl 0 3 7

Cell and atoms:
Unit cell a=3.954 b=6.776 c=11.481 alpha=90.00 beta=90.00 gamma=90.00
Space group Immm (No. 71)
Asymmetric unit:
Cr (0.000, 0.000, 0.201)
Ni (0.000, 0.000, 0.500)
Rh (0.000, 0.193, 0.000)
Rh (0.000, 0.284, 0.345)
Rh (0.000, 0.500, 0.152)

Theoretical powder X-ray diffraction pattern
Compound: Mn2Ge
Radiation: Cu Kα X-rays
Structure: a cell relaxed with PBE
Kinematic intensities with the Lorentz-polarization factor, no thermal factor.

Largest 8 diffraction maxima, by intensity, 2θ from 10° to 80°:
d 1.980, intensity 100.0, hkl 2 2 0; d 3.233, intensity 28.1, hkl 1 1 1; d 2.800, intensity 22.8, hkl 2 0 0; d 1.400, intensity 15.0, hkl 4 0 0; d 1.688, intensity 11.7, hkl 3 1 1; d 1.252, intensity 7.2, hkl 4 2 0; d 1.616, intensity 5.7, hkl 2 2 2; d 1.285, intensity 4.5, hkl 3 3 1

Cell and atoms:
Unit cell a=5.600 b=5.600 c=5.600 alpha=90.00 beta=90.00 gamma=90.00
Space group F-43m (No. 216)
Asymmetric unit:
Mn (0.000, 0.000, 0.000)
Mn (0.250, 0.250, 0.250)
Ge (0.250, 0.250, 0.750)

Theoretical powder X-ray diffraction pattern
Compound: PuTlGe2Br8
Radiation: Cu Kα X-rays
Structure: a cell relaxed with PBE
Kinematic intensities with the Lorentz-polarization factor, no thermal factor.

Largest 10 diffraction maxima, by intensity, 2θ from 10° to 80°:
d 5.084, intensity 100.0, hkl 1 1 0; d 4.787, intensity 87.0, hkl 1 -1 0; d 3.257, intensity 81.1, hkl 1 2 0; d 2.511, intensity 74.7, hkl -2 1 2; d 3.286, intensity 74.4, hkl 1 -1 2; d 3.357, intensity 63.9, hkl -1 1 2; d 3.752, intensity 62.9, hkl 1 0 -2; d 2.520, intensity 52.8, hkl 2 1 -2; d 2.304, intensity 49.4, hkl 0 0 4; d 2.190, intensity 48.7, hkl 0 3 2

Cell and atoms:
Unit cell a=6.790 b=7.220 c=9.248 alpha=85.87 beta=87.72 gamma=86.40
Space group P-1 (No. 2)
Asymmetric unit:
Pu (0.000, 0.000, 0.000)
Tl (0.000, 0.000, 0.500)
Ge (0.459, 0.462, 0.752)
Br (0.239, 0.821, 0.783)
Br (0.245, 0.323, 0.970)
Br (0.264, 0.851, 0.221)
Br (0.272, 0.363, 0.550)

Theoretical powder X-ray diffraction pattern
Compound: PmTmTc
Radiation: Cu Kα X-rays
Structure: a cell relaxed with PBE
Kinematic intensities with the Lorentz-polarization factor, no thermal factor.

Largest 10 diffraction maxima, by intensity, 2θ from 10° to 80°:
'''

A member of the family experiencing an acute or chronic medical problem.


Financial home problems which oftentimes becomes the reason to stop schooling.

Transitions like these can affect the entire mechanism of an individual. Even though your teenager seems to be very pint-sized to be stressed, they experience it too.

Dealing with stress can be difficult because it is the byproduct of everyday life and situations. One confusing thing regarding stress is that the symptoms connected to it dont always follow promptly the cause of it. Extended trouble about stress is that some may experience it and others do given the same kind of situation.

One ideal affair to do when faced with stress is to learn to cover. You have to teach your teens on how to cope with stress. These suggestions can also be useful with adults.

1. Letting your adolescent practice a healthy lifestyle which includes eating a healthy diet, having appropriate sleep and daily exercise.

2. Provide sufficient time to gibber to your child about his or her day and how he feels about it. Communication is always the best outlet for negativity.

3. Set goals that are realistic and achievable seeing your childs capability.

4. Talk to your child about decisions and options that can make voiced changes in your familys life.

Achieving mental health for your adolescent is possible only if you do your part as a parent.
Knowing enough about mental health to make solid, informed choices cuts down on the fear factor. If you apply what you’ve just learned about mental health, you should have nothing to worry about.

You Can Use Hypnosis Training to Boost Self Esteem

Are you looking for some inside information on hypnosis? Here’s an up-to-date report from hypnosis experts who should know.

Are you a confident person? If you are, then you dont have any problems. But if you are not that confident, it is not too much late to change because all you need is someone who has had hypnosis training.

Hypnosis has been around for a very long time. If you think this is only for entertainment purposes, think again now studies have shown that it can help people with problems that are psychological in origin.

Examples of problems that are psychological in genesis are anxiety disorders. Part of that is PTSD or post traumatic stress disorder which occurs after the person has had a traumatic experience.

People with hypnosis training can also help those who are suffering from an addiction. Studies have shown that it can help people who smoke, take out or take felonious drugs.

To help someone with low self – esteem, the specialist has to talk with that anything and find out why he or she is like that. Did something happen before? Most of the time, this is the reason and once that has been identified, work can begin.

The session begins with the patient being told to sit on a chair or lie down on the floor and in consequence just relax. Once the specialist sees that the patient is very comfortable, the most important aspect of the session is implemented, which is the talent of hypnotic suggestion.

Hypnotic suggestion is implanted into the persons subconscious since this is what controls the conscious mind. To make sure that this works, this is repeated several times.

The session may lengthen from 30 minutes to an hour. It ends when the specialist instructs the patient to wake up with a clap of a hand, counting numbers backward or simply opening their eyes.

One session may not be enough to boost your self – esteem. You will have to attend several more because you wont feel anything yet.

If everything works out, then your hypnosis treatment is a success. You will now give thanks your life in that what it is and be optimistic about the future.

Having flying self – esteem makes it easier for you to mold new friends and interact with others. If you feel like down after some extent, recharge yourself by having another session with a specialist or get only of those CD recordings that are being sold in record stores.

For those who dont want to buy a Recording or pay a specialist, you can download this free from a website because what you hear someone say is more of less the same.

A person with hypnosis training will not be able to do much if you are not unlatched to hypnotic suggestion. This is because if you have to believe what it can do otherwise you are just wasting your time and money getting help from a specialist.

So, think solid before you decide to see a specialist. When you are ready, give one of them a call and then set an position.

Once you walk in the clinic, tell the specialist what is your disputed point and yak whatever questions they ask. Melancholy self – esteem is different from other illnesses because it does not go away after you swallow a pill. In fact, there is no medication for this complex of a problem. The only one that can help right now is someone who has had hypnosis training.

As your knowledge about hypnosis continues to grow, you will begin to see how hypnosis fits into the overall scheme of things. Knowing how something relates to the rest of the world is important too.